____________
The following is a quantum chemistry calculation of C38H48BrMgN2O2PS2SeSi as an isolated structure, from the Open Molecules 2025 dataset.

Atoms and positions in Å:
Mg  0.214  -2.370  1.224
C  -2.899  -3.291  1.510
O  -1.870  -2.362  1.810
C  -2.213  -1.238  2.536
C  -3.461  -0.991  3.041
C  -3.670  0.218  3.720
Br  -5.396  0.548  4.464
C  -2.684  1.156  3.848
C  -1.408  0.898  3.321
C  -1.129  -0.321  2.685
O  0.039  -0.652  2.218
C  -0.383  1.936  3.397
N  -0.513  3.109  3.984
C  0.686  3.750  3.744
C  1.110  5.028  4.111
C  2.366  5.442  3.705
C  3.199  4.610  2.942
C  2.799  3.339  2.567
C  1.539  2.927  2.986
N  0.828  1.773  2.790
H  -3.318  -3.696  2.433
H  -2.429  -4.094  0.948
H  -3.663  -2.806  0.899
H  -4.276  -1.686  2.908
H  -2.859  2.103  4.339
H  0.674  -2.870  3.845
H  0.459  5.673  4.688
H  2.713  6.433  3.972
H  4.171  4.974  2.631
H  3.428  2.698  1.963
H  1.046  0.922  2.277
Se  0.751  -4.110  3.073
S  -3.181  0.345  -3.809
P  -2.936  0.759  -1.886
S  -2.332  -0.635  -0.607
C  -4.477  1.518  -1.217
C  -5.384  2.142  -2.067
C  -6.513  2.766  -1.555
C  -6.746  2.773  -0.186
C  -5.846  2.149  0.669
C  -4.718  1.524  0.155
C  -1.779  2.186  -1.696
C  -1.263  2.500  -0.440
C  -0.399  3.572  -0.278
C  -0.028  4.335  -1.379
C  -0.536  4.027  -2.633
C  -1.413  2.961  -2.789
H  -5.197  2.115  -3.134
H  -7.216  3.245  -2.227
H  -7.628  3.259  0.214
H  -6.019  2.142  1.738
H  -4.020  1.021  0.814
H  -1.530  1.882  0.410
H  -0.006  3.806  0.704
H  0.662  5.163  -1.256
H  -0.243  4.614  -3.496
H  -1.803  2.698  -3.766
C  0.943  0.066  -2.433
C  2.124  -0.428  -1.587
C  3.392  -0.152  -2.403
C  2.138  0.478  -0.343
Si  1.858  -2.289  -0.983
C  3.634  -2.981  -0.462
C  4.637  -3.204  -1.600
C  3.497  -4.310  0.295
C  4.253  -2.002  0.547
C  1.198  -3.362  -2.496
C  1.808  -3.039  -3.866
C  -0.328  -3.209  -2.600
C  1.452  -4.850  -2.227
H  1.038  1.149  -2.584
H  -0.011  -0.107  -1.937
H  0.902  -0.394  -3.420
H  3.398  0.901  -2.716
H  3.434  -0.762  -3.310
H  4.310  -0.326  -1.841
H  2.319  1.520  -0.641
H  2.903  0.195  0.388
H  1.163  0.446  0.151
H  4.316  -4.009  -2.265
H  5.610  -3.504  -1.181
H  4.800  -2.315  -2.208
H  3.117  -5.117  -0.329
H  2.841  -4.219  1.161
H  4.488  -4.620  0.660
H  4.515  -1.042  0.102
H  5.172  -2.437  0.963
H  3.575  -1.814  1.385
H  1.575  -2.026  -4.193
H  1.401  -3.724  -4.624
H  2.894  -3.150  -3.873
H  -0.662  -2.196  -2.808
H  -0.821  -3.514  -1.673
H  -0.705  -3.855  -3.405
H  2.506  -5.115  -2.321
H  0.896  -5.453  -2.958
H  1.116  -5.147  -1.228

## Properties
2S+1: 1
Total charge: -2
DFT total energy in eV: -226939.3502
F_max in eV/A: 0.50

Atomic partial charges in e from the Mulliken method, atoms 1 to 4: -0.08 -1.10 0.32 0.70
____________

What is needed: count the lines earlier on that contain the word "as" and give the number alone.

1